[What to do]
Echo all of the lines underneath exactly, please.

[Entries]
# C25H72BrNO26P7

A 7-piece molecular cluster, C25H72BrNO26P7 overall at a distorted geometry (wB97M-V/def2-TZVPD, the OMol25 dataset).

XYZ file:
```
132
Properties=species:S:1:pos:R:3:forces:R:3:lowdin_charge:R:1
O -1.74238 -5.45679 5.95291 -0.64 3.24 -0.06 -0.2386
H -2.13896 1.78902 -1.52395 -0.12 0.06 -0.24 0.0592
O 4.16064 1.42256 4.29974 -0.96 -3.33 0.44 -0.2603
C 5.39198 0.71380 4.52019 0.34 0.03 0.01 -0.1021
P 3.37247 -4.53958 5.63666 4.50 1.76 -7.07 0.6120
H 1.43684 0.47459 -5.49950 -0.03 -0.54 -0.05 0.0626
O 1.94990 1.76650 3.43916 -0.02 -0.75 0.34 -0.2558
H -4.45009 -2.33904 3.06512 -0.05 -0.08 0.09 0.0875
C 5.47459 -5.98885 4.81012 0.19 -0.31 0.07 -0.1026
H -0.89519 -5.17944 7.80818 0.04 -0.02 -0.14 0.0803
O -4.36458 6.81315 0.82414 1.11 0.70 -0.33 -0.2589
H -4.33354 -2.44246 -0.90950 -0.04 0.03 -0.07 0.0766
O 7.72801 0.47065 -6.09863 -0.45 0.13 0.55 -0.2608
H 5.08995 -5.94656 3.79161 -0.11 0.02 0.04 0.0926
H -5.67189 10.64887 -0.11414 0.04 -0.10 -0.02 0.0820
H 1.43770 -7.47147 4.99212 0.14 0.01 0.00 0.0939
H -2.47112 6.40309 -2.68239 -0.14 0.02 0.00 0.0798
H -8.18686 -3.78693 -2.89142 0.01 0.06 0.10 0.0873
O -4.04247 -5.77466 5.80663 0.16 0.66 0.27 -0.2538
H 2.13154 2.16160 -4.18338 -0.45 -0.26 -0.20 0.1205
O 2.95516 -3.84261 4.37287 -1.18 0.15 1.07 -0.2736
C -3.52780 2.00936 -3.23634 0.76 -0.46 0.99 -0.4010
O -3.44146 3.42764 -3.24449 -0.16 0.06 -0.45 -0.0306
H 4.39234 -2.32250 8.26195 -0.11 0.03 -0.12 0.0866
H 1.42416 1.21949 -1.34938 0.09 0.35 -0.07 0.0907
H -8.29876 -2.08899 -2.34412 0.13 0.00 0.00 0.0945
O -2.52670 -5.80639 3.70975 0.68 1.26 0.23 -0.2595
P -4.45049 7.94292 -0.14607 -5.28 -4.34 2.87 0.5720
C 2.04251 2.94314 4.23514 -0.07 0.14 0.35 -0.1029
H 9.61341 1.20129 -6.60818 -0.01 -0.06 0.09 0.0949
O -5.20627 -1.53639 -4.98728 1.56 -3.07 0.47 -0.2489
O -4.02309 7.13063 -1.55089 1.53 2.86 0.20 -0.2679
H 1.83690 4.22320 -3.17430 -0.01 -0.27 0.04 0.0884
H 2.20741 0.27470 -2.59539 -0.08 0.10 0.25 0.0723
H 3.60418 -3.89924 8.43244 0.06 0.08 0.09 0.0811
H -2.60519 0.38900 -4.40518 0.35 0.13 0.32 0.0978
H -5.84240 -6.69594 6.05787 0.19 -0.03 0.05 0.0915
H 2.82295 3.61029 3.87032 0.07 -0.10 -0.01 0.0927
H 5.27032 -3.78796 7.80173 -0.06 -0.06 -0.07 0.0821
H -5.95186 -5.01558 5.53580 -0.01 -0.01 -0.11 0.0839
C 1.00524 3.53742 -2.98586 -0.29 0.40 0.17 -0.0765
H -9.16059 -2.62813 -3.79451 0.14 0.09 -0.16 0.0937
O 4.05831 1.59290 1.93197 0.27 -1.20 0.15 -0.2821
H -2.27220 6.19048 -0.93098 -0.05 0.05 0.05 0.0845
C 8.58408 1.53841 -6.49225 0.05 0.33 -0.01 -0.1027
H 0.50598 -0.29396 2.95299 0.10 0.10 0.00 0.0783
O -1.27835 2.10643 -4.27801 0.44 -1.76 0.54 -0.2499
O -5.95870 8.21887 -0.67179 0.45 0.39 -0.31 -0.2529
H -4.02630 -3.88929 -1.91176 0.02 -0.07 0.12 0.0819
C -4.76822 -3.35811 -1.31499 0.07 0.08 0.31 -0.1066
H 2.22486 2.68389 5.27703 0.11 0.06 -0.03 0.0850
C -3.60162 -2.92598 3.41153 -0.04 0.07 -0.33 -0.1139
H -4.52698 -3.31266 -5.87028 0.00 0.01 -0.12 0.0822
H -4.74654 -1.93018 -6.95568 0.04 0.09 0.11 0.0862
C -4.71740 10.53172 0.39904 -0.16 0.28 0.06 -0.1089
C -2.62115 6.86968 -1.71053 0.17 -0.26 -0.01 -0.1171
H 8.22728 1.91216 -7.45071 -0.10 -0.17 0.00 0.0889
O 2.31943 0.00598 1.94387 0.77 -1.80 2.63 -0.2444
H -6.52358 6.31326 -1.29597 0.09 0.02 0.03 0.0884
H -3.04208 -3.29241 2.54873 0.03 -0.06 0.07 0.0807
H 8.57267 0.00959 -2.15214 0.07 0.04 0.09 0.0803
H 4.20609 1.31644 -2.56032 -0.05 0.39 -0.06 0.0639
C 5.47813 -0.91071 -5.08202 -0.19 0.02 -0.13 -0.1322
C 9.44231 0.22284 -2.77412 0.33 -0.08 0.15 -0.1057
H -3.31274 0.44606 -1.68285 -0.01 0.11 -0.27 0.0499
H 4.72743 -1.67740 -5.26832 0.14 -0.11 0.04 0.0855
C -6.62829 7.35948 -1.58423 -0.11 0.00 -0.30 -0.1068
C -2.61055 1.48039 -4.34398 -1.98 0.88 -0.75 -0.1550
H 6.07439 0.87384 3.68480 -0.08 0.02 -0.05 0.0847
H -2.05151 7.79897 -1.67577 0.09 -0.07 -0.06 0.0820
P -5.65892 -2.14516 -3.49247 -5.47 6.15 1.92 0.6161
H -6.25341 7.51222 -2.59590 0.03 -0.11 0.01 0.0822
C -8.25036 -2.74786 -3.21022 -0.30 -0.33 0.12 -0.0916

[Done]
# C25H72BrNO26P7

A 7-piece molecular cluster, C25H72BrNO26P7 overall at a distorted geometry (wB97M-V/def2-TZVPD, the OMol25 dataset).

XYZ file:
```
132
Properties=species:S:1:pos:R:3:forces:R:3:lowdin_charge:R:1
O -1.74238 -5.45679 5.95291 -0.64 3.24 -0.06 -0.2386
H -2.13896 1.78902 -1.52395 -0.12 0.06 -0.24 0.0592
O 4.16064 1.42256 4.29974 -0.96 -3.33 0.44 -0.2603
C 5.39198 0.71380 4.52019 0.34 0.03 0.01 -0.1021
P 3.37247 -4.53958 5.63666 4.50 1.76 -7.07 0.6120
H 1.43684 0.47459 -5.49950 -0.03 -0.54 -0.05 0.0626
O 1.94990 1.76650 3.43916 -0.02 -0.75 0.34 -0.2558
H -4.45009 -2.33904 3.06512 -0.05 -0.08 0.09 0.0875
C 5.47459 -5.98885 4.81012 0.19 -0.31 0.07 -0.1026
H -0.89519 -5.17944 7.80818 0.04 -0.02 -0.14 0.0803
O -4.36458 6.81315 0.82414 1.11 0.70 -0.33 -0.2589
H -4.33354 -2.44246 -0.90950 -0.04 0.03 -0.07 0.0766
O 7.72801 0.47065 -6.09863 -0.45 0.13 0.55 -0.2608
H 5.08995 -5.94656 3.79161 -0.11 0.02 0.04 0.0926
H -5.67189 10.64887 -0.11414 0.04 -0.10 -0.02 0.0820
H 1.43770 -7.47147 4.99212 0.14 0.01 0.00 0.0939
H -2.47112 6.40309 -2.68239 -0.14 0.02 0.00 0.0798
H -8.18686 -3.78693 -2.89142 0.01 0.06 0.10 0.0873
O -4.04247 -5.77466 5.80663 0.16 0.66 0.27 -0.2538
H 2.13154 2.16160 -4.18338 -0.45 -0.26 -0.20 0.1205
O 2.95516 -3.84261 4.37287 -1.18 0.15 1.07 -0.2736
C -3.52780 2.00936 -3.23634 0.76 -0.46 0.99 -0.4010
O -3.44146 3.42764 -3.24449 -0.16 0.06 -0.45 -0.0306
H 4.39234 -2.32250 8.26195 -0.11 0.03 -0.12 0.0866
H 1.42416 1.21949 -1.34938 0.09 0.35 -0.07 0.0907
H -8.29876 -2.08899 -2.34412 0.13 0.00 0.00 0.0945
O -2.52670 -5.80639 3.70975 0.68 1.26 0.23 -0.2595
P -4.45049 7.94292 -0.14607 -5.28 -4.34 2.87 0.5720
C 2.04251 2.94314 4.23514 -0.07 0.14 0.35 -0.1029
H 9.61341 1.20129 -6.60818 -0.01 -0.06 0.09 0.0949
O -5.20627 -1.53639 -4.98728 1.56 -3.07 0.47 -0.2489
O -4.02309 7.13063 -1.55089 1.53 2.86 0.20 -0.2679
H 1.83690 4.22320 -3.17430 -0.01 -0.27 0.04 0.0884
H 2.20741 0.27470 -2.59539 -0.08 0.10 0.25 0.0723
H 3.60418 -3.89924 8.43244 0.06 0.08 0.09 0.0811
H -2.60519 0.38900 -4.40518 0.35 0.13 0.32 0.0978
H -5.84240 -6.69594 6.05787 0.19 -0.03 0.05 0.0915
H 2.82295 3.61029 3.87032 0.07 -0.10 -0.01 0.0927
H 5.27032 -3.78796 7.80173 -0.06 -0.06 -0.07 0.0821
H -5.95186 -5.01558 5.53580 -0.01 -0.01 -0.11 0.0839
C 1.00524 3.53742 -2.98586 -0.29 0.40 0.17 -0.0765
H -9.16059 -2.62813 -3.79451 0.14 0.09 -0.16 0.0937
O 4.05831 1.59290 1.93197 0.27 -1.20 0.15 -0.2821
H -2.27220 6.19048 -0.93098 -0.05 0.05 0.05 0.0845
C 8.58408 1.53841 -6.49225 0.05 0.33 -0.01 -0.1027
H 0.50598 -0.29396 2.95299 0.10 0.10 0.00 0.0783
O -1.27835 2.10643 -4.27801 0.44 -1.76 0.54 -0.2499
O -5.95870 8.21887 -0.67179 0.45 0.39 -0.31 -0.2529
H -4.02630 -3.88929 -1.91176 0.02 -0.07 0.12 0.0819
C -4.76822 -3.35811 -1.31499 0.07 0.08 0.31 -0.1066
H 2.22486 2.68389 5.27703 0.11 0.06 -0.03 0.0850
C -3.60162 -2.92598 3.41153 -0.04 0.07 -0.33 -0.1139
H -4.52698 -3.31266 -5.87028 0.00 0.01 -0.12 0.0822
H -4.74654 -1.93018 -6.95568 0.04 0.09 0.11 0.0862
C -4.71740 10.53172 0.39904 -0.16 0.28 0.06 -0.1089
C -2.62115 6.86968 -1.71053 0.17 -0.26 -0.01 -0.1171
H 8.22728 1.91216 -7.45071 -0.10 -0.17 0.00 0.0889
O 2.31943 0.00598 1.94387 0.77 -1.80 2.63 -0.2444
H -6.52358 6.31326 -1.29597 0.09 0.02 0.03 0.0884
H -3.04208 -3.29241 2.54873 0.03 -0.06 0.07 0.0807
H 8.57267 0.00959 -2.15214 0.07 0.04 0.09 0.0803
H 4.20609 1.31644 -2.56032 -0.05 0.39 -0.06 0.0639
C 5.47813 -0.91071 -5.08202 -0.19 0.02 -0.13 -0.1322
C 9.44231 0.22284 -2.77412 0.33 -0.08 0.15 -0.1057
H -3.31274 0.44606 -1.68285 -0.01 0.11 -0.27 0.0499
H 4.72743 -1.67740 -5.26832 0.14 -0.11 0.04 0.0855
C -6.62829 7.35948 -1.58423 -0.11 0.00 -0.30 -0.1068
C -2.61055 1.48039 -4.34398 -1.98 0.88 -0.75 -0.1550
H 6.07439 0.87384 3.68480 -0.08 0.02 -0.05 0.0847
H -2.05151 7.79897 -1.67577 0.09 -0.07 -0.06 0.0820
P -5.65892 -2.14516 -3.49247 -5.47 6.15 1.92 0.6161
H -6.25341 7.51222 -2.59590 0.03 -0.11 0.01 0.0822
C -8.25036 -2.74786 -3.21022 -0.30 -0.33 0.12 -0.0916